Articles for author: Sameer Mehrab

These calculated molecules were left in the page by mistake:
200
Properties=species:S:1:pos:R:3 method="wB97M-V/def2-TZVPD" homo_ev="-10.79 / -10.79" multiplicity=2 homo_lumo_gap_ev="6.82 / 2.81" total_energy_ev=-177804.60279 charge=+1 lumo_energy_ev="-3.97 / -7.98"
H -2.97614 5.23638 -6.49555
H -1.84017 -2.70708 1.49327
C 3.41566 1.19446 -1.67226
H 4.93124 -5.12360 -2.32902
C -3.68634 1.54320 0.26195
C -1.41554 3.82774 7.32514
C 7.17412 -2.76152 -0.58173
F -2.97587 -0.68299 -0.08184
O -6.03854 7.12296 2.35119
C -3.91948 0.25300 -4.69621
C -1.01374 -2.71725 4.74116
C 6.26051 -0.41360 4.16447
O 3.87862 -0.43360 6.58787
H 4.60734 0.43205 -4.08917
C -2.79342 -5.57979 -0.02173
C 1.21534 0.55619 -7.34743
C 5.21423 -1.52102 0.94716
H 3.23085 2.13806 5.54439
O -0.11358 0.12631 -7.19112
C -1.59494 1.17746 3.15731
H -3.99080 -3.60941 2.45098
C 0.35253 1.20522 -0.04092
C -2.87603 -4.44347 -1.03140
H -2.63808 1.79153 0.18515
H 4.19033 2.90346 -4.51169
C 4.60488 -5.43423 -3.32154
C 5.96163 -0.75911 0.08251
C 0.51906 1.10804 -5.15040
H 7.15640 0.20534 4.11537
C -5.22091 -0.33954 0.38057
H -4.78278 -3.54906 -1.78071
C -1.97697 -2.95455 2.53560
H 0.22438 5.34074 3.11180
C -3.75752 4.38692 -3.02130
H 7.54938 -0.75351 -1.30867
H -5.47785 6.36864 5.23279
H 2.01152 6.20073 4.37475
H -2.23788 5.23247 0.23553
C 3.10341 2.41719 -2.57639
H 3.55862 -1.69621 -2.01115
H -5.56185 0.75074 -6.14686
H 2.47737 3.86606 0.92014
H 1.71577 -6.04807 3.01298
O -1.02842 2.14295 5.40192
H 5.34459 -5.04149 -4.01917
C 2.87394 5.30574 2.52606
H 0.27644 4.15086 4.38864
H -2.65033 -3.49707 -0.53999
H -1.39248 4.81538 6.86455
H -0.17944 -2.46624 5.37938
H -2.32055 -3.17292 6.38006
H 4.17935 -7.44086 -2.60172
H 2.21634 1.58664 4.32904
C -0.07726 -1.12030 -0.79046
H 3.04810 -3.26200 -1.26631
H 3.72659 -7.37207 1.46092
C -3.67105 -2.08024 -4.30063
O -5.64401 4.65559 2.91451
H -5.60090 -5.95593 -0.69475
H -6.87978 2.51968 0.73555
H 5.10379 1.03843 4.99556
H 0.47938 0.93057 -4.07567
C -1.33441 0.93739 4.62851
C -4.69178 -2.33069 -5.18017
C 6.35629 -3.45350 0.28880
O 1.50188 -4.98286 1.10800
C 2.41420 1.43286 5.38984
H 0.96212 -2.63092 0.27426
H -5.41944 -1.39589 0.27522
H -2.65993 -6.56459 -0.46947
H 0.59501 2.17907 -5.33808
H 2.22281 2.19620 -3.17955
H 5.55186 -7.30833 -3.73807
C -6.30758 0.55318 0.62173
H 2.06901 -0.40407 -5.59595
C -3.54681 4.31676 -6.36617
H 3.97975 -7.24496 -4.33080
S -5.20270 6.02790 2.86334
O 3.29022 -4.94478 -3.55463
H -0.97080 -0.30692 -5.24044
H 3.31128 3.22073 2.44441
S -2.34009 2.81221 6.15906
C 2.17357 5.24427 3.87775
H -1.99471 -5.49463 0.71510
H 0.35636 -6.43741 0.24270
H 4.68624 -2.96042 -2.06101
H 2.71119 0.36432 -1.72416
H 1.70338 1.41016 1.57852
S -5.10573 4.67997 -5.40089
H 2.24791 -7.53005 -0.74032
H -6.22848 -1.51370 -6.43763
H -0.42534 0.34631 4.73950
C 1.73854 0.58234 -5.92134
F -4.45807 -3.69791 5.07658
C 4.56920 -6.91714 -3.47455
C 4.98902 1.19046 -3.40563
C 1.41735 -0.62405 1.02429
S 3.07500 -3.28557 -3.74875
C 6.94267 -1.37169 -0.66357
O -4.75533 3.78347 -3.98619
C -4.71795 2.45242 0.33461

Sameer Mehrab

ما و دُنیا

دُنیایا کئوم ہست و تکریبَن گیشتریں کئوماں ملک ہم ہست۔ ہر کسا کہ ملک نیست، بزاں ماتا نئیاورتگ۔ ما بلوچ ہم انچیں کئومے ایں کہ مارا ملک و سرڈگار ہست بلہ دگرانی دستا ایں، مارا سیاسی واک و وتواجہی نیست۔ ما انچو گواتا گون ایں، بزاں ما بئے نہ ایں۔ پرچا؟ کہ دُنیا بے ایمان ...

Sameer Mehrab

**Inserted here: data records**
<<<
Below is 2 unconnected molecules or ions with the total composition C4H15N3 in a non-equilibrium geometry, with properties calculated with wB97M-V/def2-TZVPD.

Each line ends with the Löwdin charge.
Positions of all 22 atoms, in Å:
C -2.1190 2.0783 -1.8424  -0.142
N -1.8882 0.6984 -2.3505  -0.140
C -0.8432 0.0249 -1.6229  -0.383
N 0.5180 0.4879 -1.8891  0.016
H -3.1954 2.2303 -1.9738  0.066
H -1.8957 2.1993 -0.7498  0.078
H -1.5369 2.8544 -2.4480  0.089
H -2.7518 0.1330 -2.2192  0.110
H -0.8661 -1.0321 -1.8838  0.105
H -1.0277 0.0646 -0.5311  0.100
H 0.5149 0.6788 -2.8590  0.046
H 0.6555 1.4038 -1.4492  0.064
C 0.9474 -1.7436 3.0584  -0.116
C 1.1500 -0.8458 1.8070  -0.411
N 2.5298 -0.5397 1.6539  -0.047
H 1.3321 -1.2189 3.9586  0.074
H -0.1553 -2.0149 3.1418  0.084
H 1.5263 -2.6605 2.9254  0.056
H 0.7272 -1.3641 0.8859  0.104
H 0.5870 0.0871 1.9337  0.095
H 3.0959 -1.4082 1.7316  0.079
H 2.6953 -0.1131 0.7225  0.074

Computed properties:
Kohn-Sham gap (eV): 9.8936
Net charge: 0

---

Below is 14 unconnected molecules or ions with the total composition C34H99N3O25 in a non-equilibrium geometry, with properties calculated with wB97M-V/def2-TZVPD.

Each line ends with the Löwdin charge.
Positions of all 161 atoms, in Å:
C -2.8874 1.6019 3.0112  -0.090
O -3.9025 0.9075 2.2666  -0.230
C -5.1418 0.5858 2.9738  -0.179
C -5.9549 -0.5759 2.3812  -0.193
N -5.4612 -1.8592 2.8458  -0.045
C -6.3491 -2.9009 2.5078  -0.240
C -6.2539 -4.0875 3.4254  -0.217
O -4.9659 -4.7399 3.4735  -0.187
C -4.7971 -5.6795 4.5239  -0.116
H -3.1880 2.6314 3.2057  0.072
H -1.9181 1.5407 2.5165  0.078
H -2.7885 1.2561 4.0401  0.089
H -5.6843 1.5290 3.0380  0.113
H -5.0261 0.2866 4.0156  0.117
H -5.6913 -0.3809 1.3417  0.108
H -7.0283 -0.4640 2.5345  0.123
H -4.5625 -2.0550 2.4285  0.080
H -6.2805 -3.1311 1.4446  0.127
H -7.3809 -2.5833 2.6578  0.116
H -7.0925 -4.7672 3.2740  0.111
H -6.5090 -3.8794 4.4645  0.111
H -5.0141 -5.2357 5.4956  0.079
H -3.8025 -6.1251 4.5400  0.086
H -5.5471 -6.4551 4.3693  0.078
C -4.7420 6.1765 2.4538  -0.108
O -5.1618 5.9064 1.1213  -0.239
C -5.3789 4.6022 0.6653  -0.236
C -5.7202 4.6099 -0.8747  -0.184
N -5.4225 3.3778 -1.5447  -0.074
C -4.0573 3.1356 -1.8681  -0.233
C -3.6820 1.6735 -2.0867  -0.183
O -4.4403 0.8077 -1.2469  -0.173
C -4.0394 -0.4588 -1.2927  -0.161
H -3.7169 5.8476 2.6244  0.061
H -5.4699 5.6713 3.0886  0.083
H -4.7754 7.2619 2.3590  0.088
H -6.1337 4.0649 1.2394  0.104
H -4.5613 3.9404 0.9511  0.103
H -5.0995 5.3805 -1.3318  0.111
H -6.7506 4.9570 -0.9515  0.108
H -5.6198 2.5933 -0.9398  0.093
H -3.3207 3.4679 -1.1366  0.106
H -3.9323 3.6469 -2.8225  0.113
H -2.6040 1.5566 -1.9755  0.119
H -3.9476 1.3886 -3.1048  0.117
H -4.8029 -1.1211 -1.7007  0.090
H -3.8875 -0.7497 -0.2532  0.077
H -3.1935 -0.7478 -1.9165  0.077
C 3.8121 -3.0819 -4.6765  -0.094
O 3.5565 -3.6619 -3.3535  -0.172
C 4.5219 -3.0987 -2.4806  -0.206
C 4.1922 -3.6389 -0.9974  -0.210
N 4.2421 -5.0522 -0.9878  -0.065
C 4.0996 -5.7669 0.2894  -0.190
>>>

A letter to cousin Behrouz Bochani in Manus Island

Hey Behrouz Bochani, I will take the liberty of calling you Cousin. But don’t be taken aback or take me as a pusher. Let me explain. I am a Baloch from the Pakistani occupied Balochistan. My people, for some reason, believe that the Kurds are their cousins and somehow we got separated in the distant ...

Sameer Mehrab

Ali Wazir and Mohsin Dawad -- Internet photo

May God save us; military has found a new enemy

A few days ago in North Waziristan, Pakistani army attacked a peaceful public rally headed by elected members of the National Assembly Ali Wazir and Mohsin Dawar. The army claimed it was in their defence that they opened fire at the protesters. It claimed Ali Wazir and Mohsin Dawar were leading an armed assault on ...

Sameer Mehrab

The Shepherd, The Greek and The Colonel

Disclaimer:  This is a work of fiction. Names, characters, businesses, places, events and incidents are either the products of the author’s imagination or used in a fictitious manner. Any resemblance to actual persons, living or dead, or actual events is purely coincidental.   The Shepherd (i) It all started one dreadful afternoon when The Shepherd ...

Sameer Mehrab

A photo by an unknown artist about power politics.

The role of law in Baloch-Pakistan conflict

Why ask the Baloch to follow Pakistan’s constitution, when the state itself disregards its laws in punishing the Baloch for not following Pakistan’s constitution? The constitution is a social contract between the state and its citizens to govern and to be governed under a set of agreed-upon laws. The Baloch people had no role in ...

Sameer Mehrab

In the loving memory of uncle Noor Ahmad

Karima called me while on her way to the Pearson airport, Toronto. She was heading to Montreal for the hearing of her asylum case which had been delayed for two years. She told me she had received a call from our younger sister back home that there were unconfirmed reports about the discovery of a ...

Sameer Mehrab

Here I am

Saddened but not broken Shackled but not hindered   I fell from your blows, Harsh and continuous, I fell but not subdued My gaze still upwards Aspiring for the sun   I heard one of us fell today Darkness consumed another son of light To stop what has been heralded, For quite sometime   A ...

Sameer Mehrab

انسانی تاریخئے سرا گونڈێن چمشانکے

# Someone pasted quantum chemistry results at this point
+++
Run w
Formula: C9H14O
Source: the OMol25 dataset
Level of theory: wB97M-V/def2-TZVPD

Its SMILES is Cc1ccc(O)cc1.CC. For the HOMO-LUMO gap, the calculation gives 0.328 Eh. For the HOMO energy, the calculation gives -0.3016 Eh.

Each atom is followed by the atoms it is bonded to, with distances in Å.
Positions of all 24 atoms, in Å:
1 C 3.215 -0.948 -0.360  C2 1.491, H9 1.183, H10 1.163, H11 1.048
2 C 1.848 -1.250 0.154  C1 1.491, C3 1.356, C8 1.398
3 C 1.695 -1.611 1.452  C2 1.356, C4 1.389, H12 1.055
4 C 0.491 -1.622 2.145  C3 1.389, C5 1.448, H13 1.102
5 C -0.704 -1.306 1.391  C4 1.448, O6 1.317, C7 1.415
6 O -1.984 -1.348 1.702  C5 1.317, H14 0.985
7 C -0.501 -1.008 0.023  C5 1.415, C8 1.363, H15 1.135
8 C 0.704 -1.018 -0.614  C2 1.398, C7 1.363, H16 1.103
9 H 3.255 -0.427 -1.421  C1 1.183
10 H 3.667 -2.019 -0.395  C1 1.163
11 H 3.952 -0.395 0.141  C1 1.048
12 H 2.630 -1.947 1.806  C3 1.055
13 H 0.280 -2.264 3.016  C4 1.102
14 H -2.194 -1.895 2.494  O6 0.985
15 H -1.412 -1.117 -0.645  C7 1.135
16 H 0.732 -0.582 -1.628  C8 1.103
17 C -1.404 2.206 -0.903  C18 1.500, H19 1.075, H20 1.107, H21 1.127
18 C -2.550 3.064 -1.354  C17 1.500, H22 1.025, H23 1.163, H24 1.245
19 H -0.973 2.385 0.065  C17 1.075
20 H -1.680 1.144 -0.748  C17 1.107
21 H -0.562 2.146 -1.648  C17 1.127
22 H -3.286 2.418 -1.655  C18 1.025
23 H -3.047 3.799 -0.602  C18 1.163
24 H -2.173 3.595 -2.415  C18 1.245

=====

Run x
Formula: C9H14O
Source: the OMol25 dataset
Level of theory: wB97M-V/def2-TZVPD

Its SMILES is Cc1ccc(O)cc1.CC. For the HOMO-LUMO gap, the calculation gives 0.340 Eh. For the HOMO energy, the calculation gives -0.3091 Eh.

Each atom is followed by the atoms it is bonded to, with distances in Å.
Positions of all 24 atoms, in Å:
1 C 1.333 -0.809 3.435  C2 1.506, H9 1.089, H10 1.089, H11 1.081
2 C 1.088 -0.777 1.949  C1 1.506, C3 1.394, C8 1.391
3 C -0.209 -0.813 1.439  C2 1.394, C4 1.387, H12 1.082
4 C -0.470 -0.927 0.081  C3 1.387, C5 1.403, H13 1.065
5 C 0.636 -1.135 -0.757  C4 1.403, O6 1.372, C7 1.374
6 O 0.244 -1.325 -2.058  C5 1.372, H14 0.962
7 C 1.932 -1.115 -0.302  C5 1.374, C8 1.400, H15 1.076
8 C 2.144 -1.031 1.079  C2 1.391, C7 1.400, H16 1.082
9 H 0.593 -1.437 3.930  C1 1.089
10 H 1.322 0.174 3.903  C1 1.089
11 H 2.312 -1.222 3.633  C1 1.081
12 H -1.080 -0.610 2.048  C3 1.082
13 H -1.463 -0.924 -0.304  C4 1.065
14 H 0.838 -1.190 -2.801  O6 0.962
15 H 2.752 -1.028 -0.993  C7 1.076
16 H 3.125 -1.134 1.524  C8 1.082
17 C -2.384 2.362 -1.593  C18 1.508, H19 1.092, H20 1.092, H21 1.079
18 C -1.399 1.524 -2.369  C17 1.508, H22 1.092, H23 1.097, H24 1.085
19 H -3.236 2.634 -2.218  C17 1.092
20 H -2.807 1.822 -0.744  C17 1.092
21 H -1.969 3.271 -1.186  C17 1.079
22 H -1.815 0.536 -2.577  C18 1.092
23 H -0.496 1.182 -1.849  C18 1.097
24 H -0.989 1.972 -3.268  C18 1.085

=====

On energetic grounds, run x is preferred over the next structure by 44.5 kcal/mol.

=====

Run w
Formula: C9H14O
Source: the OMol25 dataset
Level of theory: wB97M-V/def2-TZVPD
+++
# So much for the quantum chemistry results

اشی ءِ مزنیں بہرے تاج بلوچ ءَ چہ سمیر محراب ءِ انگریزی نبشتانک ءَ رجانک کُتگ۔ آ کجام بود اِنت کہ ما انسانءَ را چہ اِندگہ سجہیں سہداراں بالاتِر کنت۔ اسلءَ جینَس ہومو بزاں انسانی نسلءِ تہا ہزاراں سال پیسر، بید ء مارا بازیں دگہ انسانی زات ہوار بوتہ۔ انچو کہ کُچک، روباہ، گُرک یکّیں ...

Sameer Mehrab

I’ll meet you some day

I always believed I’ll meet you some day Like old friends Or former lovers Bumping into one another In strange countries At ordinary cafes Where you were not supposed to go Where you were not supposed to be But somehow, someway Our paths cross And we meet for no apparent reason   Some call it ...

A brief history of humankind

The march of history is long and mysterious in many ways. In the last 150,000 years, our species has evolved much from an ape-like tree-dwelling mammals of genus homo. There are a number of theories about what make us human, or superior to other animals in terms of our impact on the ecological system, or ...